Input:
=====
[1]
YSc2Cr2 (PBE, optimized geometry); energy of formation from the pure elements = 1.624 eV/f.u.; SG = P4/mbm, No. 127
1.0
-4.658 -6.183 0.998
6.253 -4.659 0.318
0.147 0.424 3.316
Y Cr Sc
2 4 4
direct
0.000 0.000 0.000 Y
0.500 0.500 0.000 Y
0.412 0.912 0.000 Cr
0.912 0.588 0.000 Cr
0.588 0.088 0.000 Cr
0.088 0.412 0.000 Cr
0.194 0.694 0.500 Sc
0.694 0.806 0.500 Sc
0.806 0.306 0.500 Sc
0.306 0.194 0.500 Sc


[2]
Y2ScCr (PBE, optimized geometry); excess energy over the best structure of this formula in the dataset = 0.25 eV per formula unit; energy of formation from the pure elements = 1.045 eV/f.u.; SG = Cmmm, No. 65
1.0
5.096 0.015 0.000
-0.009 5.096 0.000
0.000 0.000 3.933
Cr Sc Y
1 1 2
direct
0.500 0.000 0.500 Cr
0.000 0.500 0.500 Sc
0.000 0.000 0.000 Y
0.500 0.500 0.000 Y


[3]
Y2ScCr (PBE, optimized geometry); excess energy over the best structure of this formula in the dataset = 0.57 eV per formula unit; energy of formation from the pure elements = 1.357 eV/f.u.; SG = F-43m, No. 216
1.0
-3.513 -3.043 2.400
1.573 -3.536 3.519
-1.047 0.716 5.075
Cr Sc Y
1 1 2
direct
0.500 0.500 0.500 Cr
0.750 0.750 0.750 Sc
0.000 0.000 0.000 Y
0.250 0.250 0.250 Y


Calculated values (states/eV/f.u.) of DOS(E_F) for the records, taken in order: 6.45 4.31 5.83.

~~~~~

[1]
# PBE ScMoCl2, optimized geometry
data_ScMoCl2
_chemical_formula_sum 'Sc2 Mo2 Cl4'
_space_group_name_H-M_alt 'P 1'
_space_group_IT_number 1
_space_group_name_Hall 'P 1'
_cell_length_a 8.641
_cell_length_b 8.641
_cell_length_c 8.641
_cell_angle_alpha 150.78
_cell_angle_beta 150.78
_cell_angle_gamma 41.80
loop_
_atom_site_label
_atom_site_type_symbol
_atom_site_fract_x
_atom_site_fract_y
_atom_site_fract_z
_atom_site_occupancy
Sc1 Sc 0.000 0.000 0.000 1
Sc2 Sc 0.750 0.250 0.500 1
Mo1 Mo 0.250 0.750 0.500 1
Mo2 Mo 0.500 0.500 0.000 1
Cl1 Cl 0.141 0.625 0.016 1
Cl2 Cl 0.375 0.391 0.516 1
Cl3 Cl 0.609 0.125 0.984 1
Cl4 Cl 0.875 0.859 0.484 1
# Crystal system: tetragonal
# E above lowest polymorph, kJ/mol of atoms: 55.26
# Final energy, eV/cell: -43.61
# Space group: I-42d, No. 122
# Energy relative to the elements, uncorrected, meV per atom: -237
# Fermi-level density of states, states/eV/f.u.: 1.97

---

[2]
# PBE HoTm2Cd9, optimized geometry
data_HoTm2Cd9
_chemical_formula_sum 'Ho1 Tm2 Cd9'
_space_group_name_H-M_alt 'P 1'
_space_group_IT_number 1
_space_group_name_Hall 'P 1'
_cell_length_a 4.636
_cell_length_b 4.636
_cell_length_c 13.237
_cell_angle_alpha 90.00
_cell_angle_beta 90.00
_cell_angle_gamma 90.00
loop_
_atom_site_label
_atom_site_type_symbol
_atom_site_fract_x
_atom_site_fract_y
_atom_site_fract_z
_atom_site_occupancy
Ho1 Ho 0.000 0.000 0.000 1
Tm1 Tm 0.000 0.000 0.335 1
Tm2 Tm 0.000 0.000 0.665 1
Cd1 Cd 0.000 0.500 0.168 1
Cd2 Cd 0.000 0.500 0.500 1
Cd3 Cd 0.000 0.500 0.832 1
Cd4 Cd 0.500 0.000 0.168 1
Cd5 Cd 0.500 0.000 0.500 1
Cd6 Cd 0.500 0.000 0.832 1
Cd7 Cd 0.500 0.500 0.000 1
Cd8 Cd 0.500 0.500 0.335 1
Cd9 Cd 0.500 0.500 0.665 1
# Crystal system: tetragonal
# Final energy, eV/cell: -24.44
# Space group: P4/mmm, No. 123
# Fermi-level density of states, states/eV/f.u.: 9.12
# Formation enthalpy at 0 K, eV/f.u.: -2.69
=====
Job:
Now give back only the lines further up with the word "direct" in them.
Worked solution:
direct
direct
direct